**Assignment**
Could you say how many lines of the calculation results further down hold the word "listed", as a bare number?

**File**
........
NbFe3Ni2P6O24 | GGA+U | relaxed

Cell and atoms, written as POSCAR:
```
NbFe3Ni2P6O24
1.0
7.3437 -4.3271 0.0000
7.3437 4.3271 0.0000
4.7941 0.0000 7.0477
P O Fe Ni Nb
6 24 3 2 1
Direct
0.0484 0.4470 0.7469
0.5405 0.2563 0.9539
0.9539 0.5405 0.2563
0.2563 0.9539 0.5405
0.4470 0.7469 0.0484
0.7469 0.0484 0.4470
0.4951 0.6807 0.8901
0.8901 0.4951 0.6807
0.1804 0.9964 0.3906
0.2552 0.9094 0.0616
0.6807 0.8901 0.4951
0.4439 0.5921 0.2438
0.0930 0.9373 0.7425
0.9942 0.6120 0.8196
0.7425 0.0930 0.9373
0.6120 0.8196 0.9942
0.2438 0.4439 0.5921
0.3906 0.1804 0.9964
0.9094 0.0616 0.2552
0.1113 0.5054 0.3176
0.5054 0.3176 0.1113
0.4102 0.7556 0.5587
0.5587 0.4102 0.7556
0.3176 0.1113 0.5054
0.9964 0.3906 0.1804
0.5921 0.2438 0.4439
0.0616 0.2552 0.9094
0.9373 0.7425 0.0930
0.8196 0.9942 0.6120
0.7556 0.5587 0.4102
0.1464 0.1464 0.1464
0.3561 0.3561 0.3561
0.6438 0.6438 0.6438
0.0060 0.0060 0.0060
0.5009 0.5009 0.5009
0.8572 0.8572 0.8572
```

Summary:
Formation enthalpy at 0 K in kJ per mole of atoms: -231.2

---

Y2Mo2O7 | GGA+U | relaxed

Cell and atoms, written as POSCAR:
```
Y2Mo2O7
1.0
-1.2162 3.0498 6.5988
-2.6705 6.8545 0.4561
-6.9035 1.1182 2.3271
O Y Mo
14 4 4
Direct
0.5369 0.9631 0.9631
0.7131 0.7131 0.2869
0.5369 0.9631 0.5369
0.9631 0.5369 0.9631
0.2500 0.2500 0.2500
0.9631 0.5369 0.5369
0.2869 0.7131 0.2869
0.9631 0.9631 0.5369
0.7131 0.2869 0.2869
0.2869 0.7131 0.7131
0.7131 0.2869 0.7131
0.2869 0.2869 0.7131
0.5369 0.5369 0.9631
0.0000 0.0000 0.0000
0.1250 0.6250 0.1250
0.6250 0.1250 0.1250
0.1250 0.1250 0.6250
0.1250 0.1250 0.1250
0.1250 0.6250 0.6250
0.6250 0.1250 0.6250
0.6250 0.6250 0.6250
0.6250 0.6250 0.1250
```

Summary:
Formation enthalpy at 0 K in kJ per mole of atoms: -283.0
Energy relative to the lowest polymorph listed for this composition in meV per atom: 13

---

LiFe6O4F8 | GGA+U | relaxed

Cell and atoms, written as POSCAR:
```
LiFe6O4F8
1.0
-2.4258 0.8818 7.4699
-5.8049 -0.0435 0.2993
-1.8916 -5.0713 2.1349
O F Fe Li
4 8 6 1
Direct
0.6756 0.6531 0.9933
0.0017 0.6830 0.3198
0.3344 0.9870 0.3675
0.0067 0.2787 0.7181
0.9823 0.2166 0.2339
0.2805 0.8857 0.9124
0.0189 0.7692 0.7880
0.3703 0.4228 0.4252
0.6652 0.0551 0.6013
0.6365 0.5953 0.5578
0.7186 0.0913 0.1067
0.3238 0.3713 0.9635
0.6817 0.3799 0.3017
0.4870 0.9875 0.9952
0.1642 0.3192 0.3645
0.0019 0.9793 0.0257
0.8544 0.6270 0.6839
0.3141 0.6732 0.6491
0.5656 0.9519 0.4195
```

Summary:
Formation enthalpy at 0 K in kJ per mole of atoms: -212.0
Energy relative to the lowest polymorph listed for this composition in meV per atom: 19

---

Zn2Ni11O13 | GGA+U | relaxed

Cell and atoms, written as POSCAR:
```
Zn2Ni11O13
1.0
1.2457 2.6982 -0.4124
3.8949 -3.0409 -19.0444
-3.8457 1.6863 -0.5838
Ni Zn O
11 2 13
Direct
0.6150 0.7700 0.3850
0.7697 0.4607 0.2303
0.1537 0.6927 0.8463
0.3846 0.2308 0.6154
0.3077 0.3845 0.6923
0.2310 0.5381 0.7690
0.4614 0.0773 0.5387
0.8461 0.3077 0.1539
0.0773 0.8453 0.9227
0.9226 0.1547 0.0774
0.5386 0.9227 0.4613
0.0000 0.0000 0.0000
0.6923 0.6154 0.3077
0.4605 0.0790 0.0395
0.2318 0.5364 0.2682
0.8461 0.3077 0.6538
0.9230 0.1540 0.5770
0.6924 0.6153 0.8076
0.0000 0.0001 0.5000
0.3079 0.3842 0.1921
0.3844 0.2312 0.1156
0.6156 0.7688 0.8844
0.0767 0.8466 0.4233
0.1529 0.6943 0.3471
0.5394 0.9211 0.9605
0.7693 0.4614 0.7307
```

Summary:
Formation enthalpy at 0 K in kJ per mole of atoms: -120.8

---

Li9Mn2Co5O16 | GGA+U | relaxed

Cell and atoms, written as POSCAR:
```
Li9Mn2Co5O16
1.0
2.9095 0.0000 0.0000
0.0000 5.1773 0.0000
0.0000 2.1907 19.3087
O Li Mn Co
16 9 2 5
Direct
0.0000 0.6582 0.9445
0.0000 0.8298 0.5542
0.0000 0.9354 0.1940
0.0000 0.0706 0.8044
0.0000 0.4265 0.6918
0.0000 0.1713 0.4445
0.5000 0.4378 0.1937
0.5000 0.8368 0.0586
0.5000 0.1632 0.9421
0.0000 0.5667 0.3097
0.5000 0.9080 0.6892
0.5000 0.5822 0.8096
0.5000 0.0693 0.3077
0.5000 0.7365 0.4460
0.5000 0.2654 0.5533
0.0000 0.3429 0.0569
0.5000 0.1252 0.1272
0.0000 0.3805 0.8753
0.5000 0.8704 0.8741
0.0000 0.6252 0.1259
0.5000 0.6242 0.6203
0.0000 0.8848 0.3802
........

**Reply**
2